## Material
{"formula": "C24H9F7N2O3", "method": "the ωB97M-V functional and the def2-TZVPD basis", "species": ["C", "C", "C", "C", "C", "H", "H", "N", "O", "C", "C", "C", "C", "C", "C", "C", "H", "C", "F", "F", "H", "H", "O", "F", "H", "C", "N", "C", "C", "C", "H", "C", "C", "C", "C", "F", "O", "F", "C", "C", "F", "F", "H", "H", "C"], "positions_angstrom": [[1.325, 3.585, -1.869], [0.016, 3.872, -1.430], [1.553, -2.110, 2.261], [1.705, 2.272, -1.858], [-6.601, 1.161, 0.579], [-0.676, -0.880, 4.688], [2.181, -4.520, 0.939], [-1.277, 0.264, -0.994], [0.177, -3.484, -1.844], [-2.669, 0.388, -0.602], [-0.857, 2.773, -1.185], [-4.253, 0.590, 1.135], [1.394, -0.196, -1.530], [0.464, -1.291, -1.241], [-2.998, 0.190, 0.726], [-4.856, 1.211, -1.139], [-1.503, -1.858, -0.484], [0.828, -3.189, 1.977], [-3.292, 1.125, -2.807], [-0.347, 5.201, -1.310], [0.468, -4.685, 0.554], [1.580, -0.360, 3.492], [2.574, -0.635, -1.625], [-2.197, -0.126, 1.689], [2.511, -1.773, 1.931], [-0.889, -2.727, 3.725], [-7.610, 1.712, 0.732], [1.280, -4.008, 0.763], [-0.308, -3.547, 2.659], [-0.479, 1.444, -1.176], [2.660, 1.994, -2.318], [1.037, -1.273, 3.275], [-3.595, 0.956, -1.504], [-0.193, -1.535, 3.942], [0.877, 1.194, -1.507], [-4.523, 0.823, 2.381], [1.706, -3.098, -0.267], [-5.731, 1.561, -2.136], [-5.268, 0.921, 0.175], [0.774, -2.710, -1.120], [-2.114, 3.263, -0.781], [2.272, 4.594, -2.063], [-0.702, -4.523, 2.458], [-1.806, -2.956, 4.301], [-0.821, -1.005, -0.943]], "multiplicity": 1, "max_force_ev_per_a": 5.08, "total_charge": 0, "lumo_energy_ev": -1.132, "smiles": "N#Cc1c(F)c(F)c(-n2cc(C(=O)OCc3ccccc3)c(=O)c3cc(F)c(F)c(F)c32)c(F)c1F", "molar_mass_da": 506.33, "gap_ev": 8.124}
## Exercise
Your job: restate everything further above without additions.
## Done
{"formula": "C24H9F7N2O3", "method": "the ωB97M-V functional and the def2-TZVPD basis", "species": ["C", "C", "C", "C", "C", "H", "H", "N", "O", "C", "C", "C", "C", "C", "C", "C", "H", "C", "F", "F", "H", "H", "O", "F", "H", "C", "N", "C", "C", "C", "H", "C", "C", "C", "C", "F", "O", "F", "C", "C", "F", "F", "H", "H", "C"], "positions_angstrom": [[1.325, 3.585, -1.869], [0.016, 3.872, -1.430], [1.553, -2.110, 2.261], [1.705, 2.272, -1.858], [-6.601, 1.161, 0.579], [-0.676, -0.880, 4.688], [2.181, -4.520, 0.939], [-1.277, 0.264, -0.994], [0.177, -3.484, -1.844], [-2.669, 0.388, -0.602], [-0.857, 2.773, -1.185], [-4.253, 0.590, 1.135], [1.394, -0.196, -1.530], [0.464, -1.291, -1.241], [-2.998, 0.190, 0.726], [-4.856, 1.211, -1.139], [-1.503, -1.858, -0.484], [0.828, -3.189, 1.977], [-3.292, 1.125, -2.807], [-0.347, 5.201, -1.310], [0.468, -4.685, 0.554], [1.580, -0.360, 3.492], [2.574, -0.635, -1.625], [-2.197, -0.126, 1.689], [2.511, -1.773, 1.931], [-0.889, -2.727, 3.725], [-7.610, 1.712, 0.732], [1.280, -4.008, 0.763], [-0.308, -3.547, 2.659], [-0.479, 1.444, -1.176], [2.660, 1.994, -2.318], [1.037, -1.273, 3.275], [-3.595, 0.956, -1.504], [-0.193, -1.535, 3.942], [0.877, 1.194, -1.507], [-4.523, 0.823, 2.381], [1.706, -3.098, -0.267], [-5.731, 1.561, -2.136], [-5.268, 0.921, 0.175], [0.774, -2.710, -1.120], [-2.114, 3.263, -0.781], [2.272, 4.594, -2.063], [-0.702, -4.523, 2.458], [-1.806, -2.956, 4.301], [-0.821, -1.005, -0.943]], "multiplicity": 1, "max_force_ev_per_a": 5.08, "total_charge": 0, "lumo_energy_ev": -1.132, "smiles": "N#Cc1c(F)c(F)c(-n2cc(C(=O)OCc3ccccc3)c(=O)c3cc(F)c(F)c(F)c32)c(F)c1F", "molar_mass_da": 506.33, "gap_ev": 8.124}